# Data
Entry 1:
DFT (PBE+U) results for crystalline Na3VH11IO13 at its relaxed geometry.

The value obtained for the energy above the most stable polymorph in this dataset is 0.460 eV per atom. As for the formation energy from the elements: -1027 meV per atom.

Structure (CIF):
```
data_Na3VH11IO13
_chemical_formula_sum 'Na6 V2 H22 I2 O26'
_space_group_name_H-M_alt 'P -1'
_space_group_IT_number 2
_cell_length_a 6.970
_cell_length_b 8.660
_cell_length_c 12.761
_cell_angle_alpha 76.83
_cell_angle_beta 86.23
_cell_angle_gamma 85.41
loop_
_space_group_symop_operation_xyz
'x,y,z'
'-x,-y,-z'
loop_
_atom_site_label
_atom_site_fract_x
_atom_site_fract_y
_atom_site_fract_z
Na1 0.034 0.196 0.264
Na2 0.419 0.197 0.396
Na3 0.453 0.814 0.923
V1 0.057 0.179 0.000
H1 0.048 0.559 0.156
H2 0.071 0.161 0.490
H3 0.098 0.044 0.854
H4 0.101 0.613 0.417
H5 0.116 0.130 0.688
H6 0.128 0.645 0.641
H7 0.153 0.502 0.056
H8 0.212 0.609 0.677
H9 0.423 0.577 0.866
H10 0.445 0.003 0.006
H11 0.469 0.429 0.134
I1 0.214 0.840 0.260
O1 0.013 0.077 0.663
O2 0.068 0.162 0.838
O3 0.109 0.819 0.891
O4 0.111 0.236 0.424
O5 0.135 0.618 0.341
O6 0.137 0.591 0.094
O7 0.182 0.997 0.032
O8 0.224 0.311 0.006
O9 0.310 0.319 0.635
O10 0.318 0.036 0.241
O11 0.323 0.795 0.431
O12 0.397 0.916 0.454
O13 0.399 0.358 0.705
```

---

Entry 2:
DFT (PBE+U) results for crystalline V2SO8 at its relaxed geometry.

As for the formation energy from the elements: -2024 meV per atom.

Structure (CIF):
```
data_V2SO8
_chemical_formula_sum 'V8 S4 O32'
_space_group_name_H-M_alt 'P n m a'
_space_group_IT_number 62
_cell_length_a 5.902
_cell_length_b 13.056
_cell_length_c 10.765
_cell_angle_alpha 90.00
_cell_angle_beta 90.00
_cell_angle_gamma 90.00
loop_
_space_group_symop_operation_xyz
'x,y,z'
'-x,-y,-z'
'-x+1/2,-y,z+1/2'
'x+1/2,y,-z+1/2'
'x+1/2,-y+1/2,-z+1/2'
'-x+1/2,y+1/2,z+1/2'
'-x,y+1/2,-z'
'x,-y+1/2,z'
loop_
_atom_site_label
_atom_site_fract_x
_atom_site_fract_y
_atom_site_fract_z
V1 0.200 0.088 0.166
S1 0.028 0.250 0.959
O1 0.031 0.623 0.735
O2 0.079 0.250 0.830
O3 0.161 0.156 0.018
O4 0.196 0.532 0.139
O5 0.198 0.750 0.994
```


Entry 1:
# Sr2EuTaCu2O8, relaxed, DFT PBE
data_Sr2EuTaCu2O8
_chemical_formula_sum 'Sr2 Eu1 Ta1 Cu2 O8'
_space_group_name_H-M_alt 'P 1'
_space_group_IT_number 1
_space_group_name_Hall 'P 1'
_cell_length_a 11.797
_cell_length_b 3.931
_cell_length_c 3.931
_cell_angle_alpha 90.19
_cell_angle_beta 90.00
_cell_angle_gamma 90.00
loop_
_atom_site_label
_atom_site_fract_x
_atom_site_fract_y
_atom_site_fract_z
Sr1 0.201 0.000 0.000
Sr2 0.799 0.000 0.000
Eu1 0.500 0.001 0.001
Ta1 0.000 0.519 0.519
Cu1 0.356 0.501 0.501
Cu2 0.644 0.501 0.501
O1 0.000 0.026 0.551
O2 0.000 0.551 0.026
O3 0.168 0.515 0.515
O4 0.368 0.002 0.501
O5 0.368 0.501 0.002
O6 0.632 0.002 0.501
O7 0.632 0.501 0.002
O8 0.832 0.515 0.515
# energy of formation from the pure elements: -2.656 eV per atom
# space-group type: No. 38
# electronic total energy: -7.50 eV/atom



Entry 2:
# Ba8Mn3N8, relaxed, DFT PBE
data_Ba8Mn3N8
_chemical_formula_sum 'Ba8 Mn3 N8'
_space_group_name_H-M_alt 'P 1'
_space_group_IT_number 1
_space_group_name_Hall 'P 1'
_cell_length_a 10.422
_cell_length_b 10.422
_cell_length_c 7.966
_cell_angle_alpha 105.79
_cell_angle_beta 105.79
_cell_angle_gamma 31.67
loop_
_atom_site_label
_atom_site_fract_x
_atom_site_fract_y
_atom_site_fract_z
Ba1 0.029 0.029 0.274
Ba2 0.201 0.201 0.805
Ba3 0.333 0.333 0.531
Ba4 0.400 0.400 0.055
Ba5 0.600 0.600 0.945
Ba6 0.667 0.667 0.469
Ba7 0.799 0.799 0.195
Ba8 0.971 0.971 0.726
Mn1 0.185 0.185 0.202
Mn2 0.500 0.500 0.500
Mn3 0.815 0.815 0.798
N1 0.111 0.111 0.022
N2 0.179 0.179 0.412
N3 0.268 0.268 0.167
N4 0.478 0.478 0.695
N5 0.522 0.522 0.305
N6 0.732 0.732 0.833
N7 0.821 0.821 0.588
N8 0.889 0.889 0.978
# energy of formation from the pure elements: -0.738 eV per atom
# space-group type: No. 12
# electronic total energy: -6.35 eV/atom



Entry 3:
# As2S3, relaxed, DFT PBE
data_As2S3
_chemical_formula_sum 'As8 S12'
_space_group_name_H-M_alt 'P 1'
# Wanted
The reader should set down only the last part of the calculation results earlier on, starting with the line that has "0.000 0.026".
# Outcome
O1 0.000 0.026 0.551
O2 0.000 0.551 0.026
O3 0.168 0.515 0.515
O4 0.368 0.002 0.501
O5 0.368 0.501 0.002
O6 0.632 0.002 0.501
O7 0.632 0.501 0.002
O8 0.832 0.515 0.515
# energy of formation from the pure elements: -2.656 eV per atom
# space-group type: No. 38
# electronic total energy: -7.50 eV/atom



Entry 2:
# Ba8Mn3N8, relaxed, DFT PBE
data_Ba8Mn3N8
_chemical_formula_sum 'Ba8 Mn3 N8'
_space_group_name_H-M_alt 'P 1'
_space_group_IT_number 1
_space_group_name_Hall 'P 1'
_cell_length_a 10.422
_cell_length_b 10.422
_cell_length_c 7.966
_cell_angle_alpha 105.79
_cell_angle_beta 105.79
_cell_angle_gamma 31.67
loop_
_atom_site_label
_atom_site_fract_x
_atom_site_fract_y
_atom_site_fract_z
Ba1 0.029 0.029 0.274
Ba2 0.201 0.201 0.805
Ba3 0.333 0.333 0.531
Ba4 0.400 0.400 0.055
Ba5 0.600 0.600 0.945
Ba6 0.667 0.667 0.469
Ba7 0.799 0.799 0.195
Ba8 0.971 0.971 0.726
Mn1 0.185 0.185 0.202
Mn2 0.500 0.500 0.500
Mn3 0.815 0.815 0.798
N1 0.111 0.111 0.022
N2 0.179 0.179 0.412
N3 0.268 0.268 0.167
N4 0.478 0.478 0.695
N5 0.522 0.522 0.305
N6 0.732 0.732 0.833
N7 0.821 0.821 0.588
N8 0.889 0.889 0.978
# energy of formation from the pure elements: -0.738 eV per atom
# space-group type: No. 12
# electronic total energy: -6.35 eV/atom



Entry 3:
# As2S3, relaxed, DFT PBE
data_As2S3
_chemical_formula_sum 'As8 S12'
_space_group_name_H-M_alt 'P 1'